File
********
Starting from a cell relaxed with GGA+U, the powder XRD pattern of CeEu2WO6 was computed for Cu Kα (weighted mean of Kα1 and Kα2).
Intensities are scaled so that the largest is 100.

Crystal structure
```
CeEu2WO6
1.0
0.0000 4.2493 4.2493
4.2493 0.0000 4.2493
4.2493 4.2493 0.0000
Ce Eu W O
1 2 1 6
Direct
0.0000 0.0000 0.0000
0.2500 0.2500 0.2500
0.7500 0.7500 0.7500
0.5000 0.5000 0.5000
0.2617 0.2617 0.7383
0.2617 0.7383 0.2617
0.2617 0.7383 0.7383
0.7383 0.2617 0.2617
0.7383 0.2617 0.7383
0.7383 0.7383 0.2617
```

Principal peaks in the range 2θ = 10–90°, by angle:
18.08°, 4.907 Å, I 1.5; 20.91°, 4.249 Å, I 1.0; 29.73°, 3.005 Å, I 100.0; 36.63°, 2.453 Å, I 0.8; 42.55°, 2.125 Å, I 27.9; 52.77°, 1.735 Å, I 41.1; 61.75°, 1.502 Å, I 17.7; 70.02°, 1.344 Å, I 18.1; 77.87°, 1.227 Å, I 5.9; 85.50°, 1.136 Å, I 21.8

***

Starting from a cell relaxed with GGA+U, the powder XRD pattern of CeEu2WO6 was computed for Cu Kα (weighted mean of Kα1 and Kα2).
Intensities are scaled so that the largest is 100.

Crystal structure
```
CeEu2WO6
1.0
8.4838 0.0000 0.0000
0.0000 8.4838 0.0000
0.0000 0.0000 8.4838
Ce Eu W O
4 8 4 24
Direct
0.0000 0.0000 0.0000
0.0000 0.5000 0.5000
0.5000 0.0000 0.5000
0.5000 0.5000 0.0000
0.2500 0.2500 0.2500
0.2500 0.2500 0.7500
0.2500 0.7500 0.2500
0.2500 0.7500 0.7500
0.7500 0.2500 0.2500
0.7500 0.2500 0.7500
0.7500 0.7500 0.2500
0.7500 0.7500 0.7500
0.0000 0.0000 0.5000
0.0000 0.5000 0.0000
0.5000 0.0000 0.0000
0.5000 0.5000 0.5000
0.0412 0.5482 0.7618
0.0412 0.9518 0.7382
0.0482 0.2382 0.5412
0.0482 0.2618 0.9588
0.2382 0.5412 0.0482
0.2382 0.9588 0.4518
0.2618 0.5412 0.4518
0.2618 0.9588 0.0482
0.4518 0.2382 0.9588
0.4518 0.2618 0.5412
0.4588 0.5482 0.7382
0.4588 0.9518 0.7618
0.5412 0.0482 0.2382
0.5412 0.4518 0.2618
0.5482 0.7382 0.4588
0.5482 0.7618 0.0412
0.7382 0.0412 0.9518
0.7382 0.4588 0.5482
0.7618 0.0412 0.5482
0.7618 0.4588 0.9518
0.9518 0.7382 0.0412
0.9518 0.7618 0.4588
0.9588 0.0482 0.2618
0.9588 0.4518 0.2382
```

Principal peaks in the range 2θ = 10–90°, by angle:
18.11°, 4.898 Å, I 1.4; 20.94°, 4.242 Å, I 0.6; 29.79°, 2.999 Å, I 100.0; 35.08°, 2.558 Å, I 0.5; 42.63°, 2.121 Å, I 25.1; 52.87°, 1.732 Å, I 44.9; 61.87°, 1.500 Å, I 15.2; 70.16°, 1.341 Å, I 18.3; 78.04°, 1.225 Å, I 5.0; 85.69°, 1.134 Å, I 22.7

=====

No. 1
Structure and computed XRD peak list of GaPdAu5 (a cell relaxed with GGA-PBE; Cu Kα, 1.54184 Å).

Crystal structure
```
GaPdAu5
1.0
5.2715 0.0000 0.0000
0.0000 7.2356 0.0000
0.0000 0.0000 7.3785
Ga Pd Au
2 2 10
Direct
0.0000 0.0000 0.0000 Ga
0.5000 0.5000 0.5000 Ga
0.0000 0.5000 0.5092 Pd
0.5000 0.0000 0.0092 Pd
0.0000 0.0000 0.3343 Au
0.0000 0.3108 0.8430 Au
0.0000 0.6892 0.8430 Au
0.2467 0.5000 0.1674 Au
0.2533 0.0000 0.6674 Au
0.5000 0.1892 0.3430 Au
0.5000 0.5000 0.8343 Au
0.5000 0.8108 0.3430 Au
0.7467 0.0000 0.6674 Au
0.7533 0.5000 0.1674 Au
```

Most intense lines, 2θ from 15° to 90°, low angle first:
24.6 deg, rel. 416
32.4 deg, rel. 869
38.3 deg, rel. 1000
38.7 deg, rel. 913
42.1 deg, rel. 652
48.3 deg, rel. 400

***

No. 2
Structure and computed XRD peak list of ErThPt4 (a cell relaxed with GGA-PBE; Cu Kα, 1.54184 Å).

Crystal structure
```
ErThPt4
1.0
0.0000 3.8751 3.8751
3.8751 0.0000 3.8751
3.8751 3.8751 0.0000
Er Th Pt
1 1 4
Direct
0.0000 0.0000 0.0000 Er
0.7500 0.7500 0.7500 Th
0.3745 0.3745 0.3745 Pt
0.3745 0.3745 0.8765 Pt
0.3745 0.8765 0.3745 Pt
0.8765 0.3745 0.3745 Pt
```

Most intense lines, 2θ from 15° to 90°, low angle first:
32.7 deg, rel. 270
38.5 deg, rel. 1000
40.3 deg, rel. 400
62.2 deg, rel. 335
68.5 deg, rel. 290
82.6 deg, rel. 157

***

No. 3
Structure and computed XRD peak list of DyNpOs (a cell relaxed with GGA-PBE; Cu Kα, 1.54184 Å).

Crystal structure
```
DyNpOs
1.0
3.7445 0.0000 0.0000
0.0000 3.7445 0.0000
0.0000 0.0000 23.3737
Dy Np Os
4 4 4
Direct
0.0000 0.0000 0.0770 Dy
0.0000 0.0000 0.9230 Dy
0.5000 0.5000 0.4230 Dy
0.5000 0.5000 0.5770 Dy
0.0000 0.0000 0.3223 Np
0.0000 0.0000 0.6777 Np
0.5000 0.5000 0.1777 Np
0.5000 0.5000 0.8223 Np
********
To do
Could you return the whole of the material earlier on with every line break kept?
Result
Starting from a cell relaxed with GGA+U, the powder XRD pattern of CeEu2WO6 was computed for Cu Kα (weighted mean of Kα1 and Kα2).
Intensities are scaled so that the largest is 100.

Crystal structure
```
CeEu2WO6
1.0
0.0000 4.2493 4.2493
4.2493 0.0000 4.2493
4.2493 4.2493 0.0000
Ce Eu W O
1 2 1 6
Direct
0.0000 0.0000 0.0000
0.2500 0.2500 0.2500
0.7500 0.7500 0.7500
0.5000 0.5000 0.5000
0.2617 0.2617 0.7383
0.2617 0.7383 0.2617
0.2617 0.7383 0.7383
0.7383 0.2617 0.2617
0.7383 0.2617 0.7383
0.7383 0.7383 0.2617
```

Principal peaks in the range 2θ = 10–90°, by angle:
18.08°, 4.907 Å, I 1.5; 20.91°, 4.249 Å, I 1.0; 29.73°, 3.005 Å, I 100.0; 36.63°, 2.453 Å, I 0.8; 42.55°, 2.125 Å, I 27.9; 52.77°, 1.735 Å, I 41.1; 61.75°, 1.502 Å, I 17.7; 70.02°, 1.344 Å, I 18.1; 77.87°, 1.227 Å, I 5.9; 85.50°, 1.136 Å, I 21.8

***

Starting from a cell relaxed with GGA+U, the powder XRD pattern of CeEu2WO6 was computed for Cu Kα (weighted mean of Kα1 and Kα2).
Intensities are scaled so that the largest is 100.

Crystal structure
```
CeEu2WO6
1.0
8.4838 0.0000 0.0000
0.0000 8.4838 0.0000
0.0000 0.0000 8.4838
Ce Eu W O
4 8 4 24
Direct
0.0000 0.0000 0.0000
0.0000 0.5000 0.5000
0.5000 0.0000 0.5000
0.5000 0.5000 0.0000
0.2500 0.2500 0.2500
0.2500 0.2500 0.7500
0.2500 0.7500 0.2500
0.2500 0.7500 0.7500
0.7500 0.2500 0.2500
0.7500 0.2500 0.7500
0.7500 0.7500 0.2500
0.7500 0.7500 0.7500
0.0000 0.0000 0.5000
0.0000 0.5000 0.0000
0.5000 0.0000 0.0000
0.5000 0.5000 0.5000
0.0412 0.5482 0.7618
0.0412 0.9518 0.7382
0.0482 0.2382 0.5412
0.0482 0.2618 0.9588
0.2382 0.5412 0.0482
0.2382 0.9588 0.4518
0.2618 0.5412 0.4518
0.2618 0.9588 0.0482
0.4518 0.2382 0.9588
0.4518 0.2618 0.5412
0.4588 0.5482 0.7382
0.4588 0.9518 0.7618
0.5412 0.0482 0.2382
0.5412 0.4518 0.2618
0.5482 0.7382 0.4588
0.5482 0.7618 0.0412
0.7382 0.0412 0.9518
0.7382 0.4588 0.5482
0.7618 0.0412 0.5482
0.7618 0.4588 0.9518
0.9518 0.7382 0.0412
0.9518 0.7618 0.4588
0.9588 0.0482 0.2618
0.9588 0.4518 0.2382
```

Principal peaks in the range 2θ = 10–90°, by angle:
18.11°, 4.898 Å, I 1.4; 20.94°, 4.242 Å, I 0.6; 29.79°, 2.999 Å, I 100.0; 35.08°, 2.558 Å, I 0.5; 42.63°, 2.121 Å, I 25.1; 52.87°, 1.732 Å, I 44.9; 61.87°, 1.500 Å, I 15.2; 70.16°, 1.341 Å, I 18.3; 78.04°, 1.225 Å, I 5.0; 85.69°, 1.134 Å, I 22.7

=====

No. 1
Structure and computed XRD peak list of GaPdAu5 (a cell relaxed with GGA-PBE; Cu Kα, 1.54184 Å).

Crystal structure
```
GaPdAu5
1.0
5.2715 0.0000 0.0000
0.0000 7.2356 0.0000
0.0000 0.0000 7.3785
Ga Pd Au
2 2 10
Direct
0.0000 0.0000 0.0000 Ga
0.5000 0.5000 0.5000 Ga
0.0000 0.5000 0.5092 Pd
0.5000 0.0000 0.0092 Pd
0.0000 0.0000 0.3343 Au
0.0000 0.3108 0.8430 Au
0.0000 0.6892 0.8430 Au
0.2467 0.5000 0.1674 Au
0.2533 0.0000 0.6674 Au
0.5000 0.1892 0.3430 Au
0.5000 0.5000 0.8343 Au
0.5000 0.8108 0.3430 Au
0.7467 0.0000 0.6674 Au
0.7533 0.5000 0.1674 Au
```

Most intense lines, 2θ from 15° to 90°, low angle first:
24.6 deg, rel. 416
32.4 deg, rel. 869
38.3 deg, rel. 1000
38.7 deg, rel. 913
42.1 deg, rel. 652
48.3 deg, rel. 400

***

No. 2
Structure and computed XRD peak list of ErThPt4 (a cell relaxed with GGA-PBE; Cu Kα, 1.54184 Å).

Crystal structure
```
ErThPt4
1.0
0.0000 3.8751 3.8751
3.8751 0.0000 3.8751
3.8751 3.8751 0.0000
Er Th Pt
1 1 4
Direct
0.0000 0.0000 0.0000 Er
0.7500 0.7500 0.7500 Th
0.3745 0.3745 0.3745 Pt
0.3745 0.3745 0.8765 Pt
0.3745 0.8765 0.3745 Pt
0.8765 0.3745 0.3745 Pt
```

Most intense lines, 2θ from 15° to 90°, low angle first:
32.7 deg, rel. 270
38.5 deg, rel. 1000
40.3 deg, rel. 400
62.2 deg, rel. 335
68.5 deg, rel. 290
82.6 deg, rel. 157

***

No. 3
Structure and computed XRD peak list of DyNpOs (a cell relaxed with GGA-PBE; Cu Kα, 1.54184 Å).

Crystal structure
```
DyNpOs
1.0
3.7445 0.0000 0.0000
0.0000 3.7445 0.0000
0.0000 0.0000 23.3737
Dy Np Os
4 4 4
Direct
0.0000 0.0000 0.0770 Dy
0.0000 0.0000 0.9230 Dy
0.5000 0.5000 0.4230 Dy
0.5000 0.5000 0.5770 Dy
0.0000 0.0000 0.3223 Np
0.0000 0.0000 0.6777 Np
0.5000 0.5000 0.1777 Np
0.5000 0.5000 0.8223 Np